**Contents:**
<<<
For Zn3Fe8CoO16, the GGA+U geometry in the Materials Project gives the calculated powder diffraction line list in this record (λ = 1.5418 Å (Cu Kα)).
Kinematic intensities with the Lorentz-polarization factor, no thermal factor.

Crystal structure
```
Zn3Fe8CoO16
1.0
6.0486 0.0000 0.0000
0.0000 6.0486 0.0000
0.0000 0.0000 8.5535
Zn Fe Co O
3 8 1 16
Direct
0.0000 0.0000 0.0000
0.0000 0.5000 0.7501
0.5000 0.0000 0.2499
0.0000 0.2500 0.3751
0.0000 0.7500 0.3751
0.2500 0.0000 0.6249
0.2500 0.5000 0.1250
0.5000 0.2500 0.8750
0.5000 0.7500 0.8750
0.7500 0.0000 0.6249
0.7500 0.5000 0.1250
0.5000 0.5000 0.5000
0.0000 0.2294 0.6146
0.0000 0.2707 0.1354
0.0000 0.7293 0.1354
0.0000 0.7706 0.6146
0.2294 0.0000 0.3854
0.2292 0.5000 0.3647
0.2707 0.0000 0.8646
0.2707 0.5000 0.8853
0.5000 0.2292 0.6353
0.5000 0.2707 0.1147
0.5000 0.7293 0.1147
0.5000 0.7708 0.6353
0.7293 0.0000 0.8646
0.7293 0.5000 0.8853
0.7706 0.0000 0.3854
0.7708 0.5000 0.3647
```

Top 12 peaks for 10 to 90 degrees two-theta, by angle:
- 18.0°, rel. 5.4
- 29.5°, rel. 34.3
- 34.8°, rel. 100.0
- 36.4°, rel. 7.6
- 42.3°, rel. 15.2
- 52.4°, rel. 12.3
- 55.8°, rel. 36.6
- 61.3°, rel. 44.0
- 69.5°, rel. 4.7
- 72.5°, rel. 10.3
- 84.8°, rel. 6.1
- 87.6°, rel. 17.0

For Na2NiPCO7, the GGA+U geometry in the Materials Project gives the calculated powder diffraction line list in this record (λ = 1.5418 Å (Cu Kα)).
Kinematic intensities with the Lorentz-polarization factor, no thermal factor.

Crystal structure
```
Na2NiPCO7
1.0
8.4906 0.0000 0.0000
-2.1679 8.2378 0.0000
-3.0208 -3.9175 8.8163
Na Ni P C O
8 4 4 4 28
Direct
0.0000 0.0000 0.0000
0.0066 0.9614 0.4722
0.2387 0.7184 0.9923
0.4788 0.4801 0.9912
0.4912 0.4668 0.4707
0.5306 0.7897 0.8102
0.7357 0.2332 0.4814
0.7613 0.2399 0.9975
0.0522 0.2970 0.3865
0.4320 0.1683 0.0826
0.5435 0.7926 0.3866
0.9292 0.6701 0.0850
0.1856 0.4281 0.1567
0.2988 0.0383 0.3154
0.6846 0.9234 0.1552
0.7927 0.5314 0.3124
0.2239 0.4628 0.6626
0.2590 0.0010 0.8111
0.7234 0.9574 0.6621
0.7613 0.5022 0.8098
0.0555 0.2954 0.1932
0.0772 0.5068 0.0628
0.0781 0.3227 0.5987
0.1495 0.8885 0.1643
0.1700 0.9153 0.6724
0.2187 0.1457 0.4092
0.2192 0.9563 0.9144
0.2618 0.3187 0.0597
0.2783 0.5109 0.5692
0.3079 0.5481 0.8060
0.3372 0.5715 0.3067
0.4048 0.1423 0.8712
0.4164 0.9694 0.4105
0.4246 0.1693 0.2738
0.5514 0.7919 0.1895
0.5788 0.0012 0.0553
0.5812 0.8129 0.6013
0.6436 0.3844 0.1580
0.6757 0.4202 0.6688
0.7134 0.4555 0.9082
0.7130 0.6355 0.4080
0.7587 0.8154 0.0529
0.7695 0.0042 0.5634
0.8048 0.0419 0.8047
0.8325 0.0684 0.3062
0.8950 0.4459 0.4028
0.9054 0.6452 0.8732
0.9135 0.6635 0.2710
```

Top 12 peaks for 10 to 90 degrees two-theta, by angle:
- 10.0°, rel. 100.0
- 16.6°, rel. 36.5
- 20.1°, rel. 22.3
- 21.6°, rel. 18.9
- 26.2°, rel. 24.7
- 26.5°, rel. 43.5
- 33.5°, rel. 37.7
- 34.6°, rel. 38.4
- 38.0°, rel. 17.4
- 41.5°, rel. 13.7
- 49.4°, rel. 13.7
- 54.5°, rel. 19.2

For Er2Mn2O7, the GGA+U geometry in the Materials Project gives the calculated powder diffraction line list in this record (λ = 1.5418 Å (Cu Kα)).
Kinematic intensities with the Lorentz-polarization factor, no thermal factor.

Crystal structure
```
Er2Mn2O7
1.0
0.0000 4.9909 4.9909
4.9909 0.0000 4.9909
4.9909 4.9909 0.0000
Er Mn O
4 4 14
Direct
0.0000 0.0000 0.0000
0.0000 0.0000 0.5000
0.0000 0.5000 0.0000
0.5000 0.0000 0.0000
0.0000 0.5000 0.5000
0.5000 0.0000 0.5000
0.5000 0.5000 0.0000
0.5000 0.5000 0.5000
0.1250 0.1250 0.1250
0.1683 0.1683 0.5817
0.1683 0.5817 0.1683
0.1683 0.5817 0.5817
0.4183 0.4183 0.8317
0.4183 0.8317 0.4183
0.4183 0.8317 0.8317
0.5817 0.1683 0.1683
0.5817 0.1683 0.5817
0.5817 0.5817 0.1683
0.8317 0.4183 0.4183
0.8317 0.4183 0.8317
0.8317 0.8317 0.4183
0.8750 0.8750 0.8750
```

Top 12 peaks for 10 to 90 degrees two-theta, by angle:
- 15.4°, rel. 26.2
- 29.7°, rel. 14.2
- 31.0°, rel. 100.0
- 36.0°, rel. 30.4
- 39.3°, rel. 17.6
- 47.3°, rel. 8.8
- 51.8°, rel. 46.9
- 54.4°, rel. 7.9
- 61.6°, rel. 41.0
- 64.7°, rel. 9.3
- 84.6°, rel. 16.8
- 87.4°, rel. 13.5
>>>
**Exercise:**
Your job: write out all of the notes further above character by character.
**Solution:**
For Zn3Fe8CoO16, the GGA+U geometry in the Materials Project gives the calculated powder diffraction line list in this record (λ = 1.5418 Å (Cu Kα)).
Kinematic intensities with the Lorentz-polarization factor, no thermal factor.

Crystal structure
```
Zn3Fe8CoO16
1.0
6.0486 0.0000 0.0000
0.0000 6.0486 0.0000
0.0000 0.0000 8.5535
Zn Fe Co O
3 8 1 16
Direct
0.0000 0.0000 0.0000
0.0000 0.5000 0.7501
0.5000 0.0000 0.2499
0.0000 0.2500 0.3751
0.0000 0.7500 0.3751
0.2500 0.0000 0.6249
0.2500 0.5000 0.1250
0.5000 0.2500 0.8750
0.5000 0.7500 0.8750
0.7500 0.0000 0.6249
0.7500 0.5000 0.1250
0.5000 0.5000 0.5000
0.0000 0.2294 0.6146
0.0000 0.2707 0.1354
0.0000 0.7293 0.1354
0.0000 0.7706 0.6146
0.2294 0.0000 0.3854
0.2292 0.5000 0.3647
0.2707 0.0000 0.8646
0.2707 0.5000 0.8853
0.5000 0.2292 0.6353
0.5000 0.2707 0.1147
0.5000 0.7293 0.1147
0.5000 0.7708 0.6353
0.7293 0.0000 0.8646
0.7293 0.5000 0.8853
0.7706 0.0000 0.3854
0.7708 0.5000 0.3647
```

Top 12 peaks for 10 to 90 degrees two-theta, by angle:
- 18.0°, rel. 5.4
- 29.5°, rel. 34.3
- 34.8°, rel. 100.0
- 36.4°, rel. 7.6
- 42.3°, rel. 15.2
- 52.4°, rel. 12.3
- 55.8°, rel. 36.6
- 61.3°, rel. 44.0
- 69.5°, rel. 4.7
- 72.5°, rel. 10.3
- 84.8°, rel. 6.1
- 87.6°, rel. 17.0

For Na2NiPCO7, the GGA+U geometry in the Materials Project gives the calculated powder diffraction line list in this record (λ = 1.5418 Å (Cu Kα)).
Kinematic intensities with the Lorentz-polarization factor, no thermal factor.

Crystal structure
```
Na2NiPCO7
1.0
8.4906 0.0000 0.0000
-2.1679 8.2378 0.0000
-3.0208 -3.9175 8.8163
Na Ni P C O
8 4 4 4 28
Direct
0.0000 0.0000 0.0000
0.0066 0.9614 0.4722
0.2387 0.7184 0.9923
0.4788 0.4801 0.9912
0.4912 0.4668 0.4707
0.5306 0.7897 0.8102
0.7357 0.2332 0.4814
0.7613 0.2399 0.9975
0.0522 0.2970 0.3865
0.4320 0.1683 0.0826
0.5435 0.7926 0.3866
0.9292 0.6701 0.0850
0.1856 0.4281 0.1567
0.2988 0.0383 0.3154
0.6846 0.9234 0.1552
0.7927 0.5314 0.3124
0.2239 0.4628 0.6626
0.2590 0.0010 0.8111
0.7234 0.9574 0.6621
0.7613 0.5022 0.8098
0.0555 0.2954 0.1932
0.0772 0.5068 0.0628
0.0781 0.3227 0.5987
0.1495 0.8885 0.1643
0.1700 0.9153 0.6724
0.2187 0.1457 0.4092
0.2192 0.9563 0.9144
0.2618 0.3187 0.0597
0.2783 0.5109 0.5692
0.3079 0.5481 0.8060
0.3372 0.5715 0.3067
0.4048 0.1423 0.8712
0.4164 0.9694 0.4105
0.4246 0.1693 0.2738
0.5514 0.7919 0.1895
0.5788 0.0012 0.0553
0.5812 0.8129 0.6013
0.6436 0.3844 0.1580
0.6757 0.4202 0.6688
0.7134 0.4555 0.9082
0.7130 0.6355 0.4080
0.7587 0.8154 0.0529
0.7695 0.0042 0.5634
0.8048 0.0419 0.8047
0.8325 0.0684 0.3062
0.8950 0.4459 0.4028
0.9054 0.6452 0.8732
0.9135 0.6635 0.2710
```

Top 12 peaks for 10 to 90 degrees two-theta, by angle:
- 10.0°, rel. 100.0
- 16.6°, rel. 36.5
- 20.1°, rel. 22.3
- 21.6°, rel. 18.9
- 26.2°, rel. 24.7
- 26.5°, rel. 43.5
- 33.5°, rel. 37.7
- 34.6°, rel. 38.4
- 38.0°, rel. 17.4
- 41.5°, rel. 13.7
- 49.4°, rel. 13.7
- 54.5°, rel. 19.2

For Er2Mn2O7, the GGA+U geometry in the Materials Project gives the calculated powder diffraction line list in this record (λ = 1.5418 Å (Cu Kα)).
Kinematic intensities with the Lorentz-polarization factor, no thermal factor.

Crystal structure
```
Er2Mn2O7
1.0
0.0000 4.9909 4.9909
4.9909 0.0000 4.9909
4.9909 4.9909 0.0000
Er Mn O
4 4 14
Direct
0.0000 0.0000 0.0000
0.0000 0.0000 0.5000
0.0000 0.5000 0.0000
0.5000 0.0000 0.0000
0.0000 0.5000 0.5000
0.5000 0.0000 0.5000
0.5000 0.5000 0.0000
0.5000 0.5000 0.5000
0.1250 0.1250 0.1250
0.1683 0.1683 0.5817
0.1683 0.5817 0.1683
0.1683 0.5817 0.5817
0.4183 0.4183 0.8317
0.4183 0.8317 0.4183
0.4183 0.8317 0.8317
0.5817 0.1683 0.1683
0.5817 0.1683 0.5817
0.5817 0.5817 0.1683
0.8317 0.4183 0.4183
0.8317 0.4183 0.8317
0.8317 0.8317 0.4183
0.8750 0.8750 0.8750
```

Top 12 peaks for 10 to 90 degrees two-theta, by angle:
- 15.4°, rel. 26.2
- 29.7°, rel. 14.2
- 31.0°, rel. 100.0
- 36.0°, rel. 30.4
- 39.3°, rel. 17.6
- 47.3°, rel. 8.8
- 51.8°, rel. 46.9
- 54.4°, rel. 7.9
- 61.6°, rel. 41.0
- 64.7°, rel. 9.3
- 84.6°, rel. 16.8
- 87.4°, rel. 13.5